Trust… Is It Really That Simple?

I love Friday’s! But then again who doesn’t love Friday’s, right? It’s the end of the week and the official start to the weekend. But I love Friday’s for another reason than it being the start of the weekend. I look forward to every Friday because that is what has known as “Daddy/Daughter” day around our house. I have come to absolutely love Friday’s with Gracie!

Part of our “routine” consists of going and hanging out at Starbuck’s for a little while and then going and goofing off at Target. I will always cherish the Friday’s that I get to spend with my daughter and I wanted to just a share a thought or two of some the things I’ve come to learn from “Daddy/Daughter” day.

The first thing is I love seeing how much Gracie is growing and changing every week. Sometimes, it can be a little depressing because she is growing up way too fast, but I get a kick out of watching her figure things out. Her little mind is constantly at work along with her nosey hands and quick feet. But more importantly, I love how she just seems to trust and accept the things that I say to her! She constantly has a dozen or more questions in a thirty minute span and she seems quite content with my answers to her questions at times. And I this thought, why are we as Christians just not content with God’s word to us?

I thought about Proverbs 3:5-6, “Trust in the LORD with all your heart and lean not on your own understanding. In all your ways acknowledge Him and He will direct your paths.”

The idea of trust is something that we all struggle with at times. I have a hard time trusting God with a lot of things in my life at times and I know that sounds horrible especially since I am a pastor. Well, believe it or not, I struggle with more than just trusting others! But I love the picture that Gracie has given me when it comes to trust. I learned that when it comes to my relationship with God, I need to be a little bit more like Gracie and just trust God for what He says. His Word is perfect and I am a sinful person who is constantly in need of my Savior!

Are you trusting God with ALL your heart today? I’m thankful for the days I get to spend with my daughter but I’m even more grateful for having a Savior who understands my weaknesses and yet still chooses to love me everyday! I know I’m nowhere near perfect and I never want to be, I just want to strive to live a life of holiness and imitate my heavenly Father everyday.

Devoted To The Word

With only two and half weeks left of the 2012 Major League Baseball season left, I’ve noticed how people are starting to be more excited. I wonder if it’s because there are more teams involved in the playoff race than usual or is the teams that are involved in the playoff race that has people excited? For example, the Baltimore Orioles and Washington Nationals are out of their comfort zone when it comes to winning. I don’t say that to be mean, but these are two teams who typically are out of the playoff race before the All-Star game is even played. I have even seen where people were still more excited to watch the Washington Nationals play than the Washington Redskins and this comes from die-hard football fans.

It’s something about the beginning of Fall that seems to get people a little bit more excited about baseball. They seem to take-up a genuine interests again because they are watching to see who will make it to the playoffs and the World Series. Now,I understand that I am the one random person that could watch all 162 games and still not be bored with baseball! But I have noticed that when it comes to sports we are always excited at the beginning of each season. If you follow the NFL, NBA, MLB, NCAA Football/Basketball, etc. We love the start of a new season but then we kind of lose touch halfway through and then right before the season ends our interests start to pick up again and all of a sudden we are back into following our sport because the playoffs are exciting!

I have also come to realize that we treat our spiritual lives a lot like that too. The spiritual discipline of studying God’s word, praying and memorizing is hard work, but well worth it in the long run. In Numbers chapter 9 we read about the concerns of some of the Israelites because they were not going to be able to partake in the celebration of the Passover. It is such a blessing when you see people who are still interested and excited and even eager to be involved in the activities of the church. It is an even bigger blessing to see people still have a hunger and thirst for God’s Word! I am extremely grateful for the people in my life who have a hunger for God’s Word everyday and not just when it fits into their schedule or life.

Are you still eager and ready to learn from God’s Word today? Is your heart excited about the things of God or have you fallen into a “midseason slump”? I pray that you have a continuing hunger for God’s Word in your life everyday.

Devoted To The Word

With only two and half weeks left of the 2012 Major League Baseball season left, I’ve noticed how people are starting to be more excited. I wonder if it’s because there are more teams involved in the playoff race than usual or is the teams that are involved in the playoff race that has people excited? For example, the Baltimore Orioles and Washington Nationals are out of their comfort zone when it comes to winning. I don’t say that to be mean, but these are two teams who typically are out of the playoff race before the All-Star game is even played. I have even seen where people were still more excited to watch the Washington Nationals play than the Washington Redskins and this comes from die-hard football fans.

It’s something about the beginning of Fall that seems to get people a little bit more excited about baseball. They seem to take-up a genuine interests again because they are watching to see who will make it to the playoffs and the World Series. Now,I understand that I am the one random person that could watch all 162 games and still not be bored with baseball! But I have noticed that when it comes to sports we are always excited at the beginning of each season. If you follow the NFL, NBA, MLB, NCAA Football/Basketball, etc. We love the start of a new season but then we kind of lose touch halfway through and then right before the season ends our interests start to pick up again and all of a sudden we are back into following our sport because the playoffs are exciting!

I have also come to realize that we treat our spiritual lives a lot like that too. The spiritual discipline of studying God’s word, praying and memorizing is hard work, but well worth it in the long run. In Numbers chapter 9 we read about the concerns of some of the Israelites because they were not going to be able to partake in the celebration of the Passover. It is such a blessing when you see people who are still interested and excited and even eager to be involved in the activities of the church. It is an even bigger blessing to see people still have a hunger and thirst for God’s Word! I am extremely grateful for the people in my life who have a hunger for God’s Word everyday and not just when it fits into their schedule or life.

Are you still eager and ready to learn from God’s Word today? Is your heart excited about the things of God or have you fallen into a “midseason slump”? I pray that you have a continuing hunger for God’s Word in your life everyday.

A Great Article About Tobymac’s New Album

I was super-pumped to see and hear where Tobymac’s new album reached #1 on iTunes this week and the article below talks about how she didn’t know who Tobymac was or that he was a Christian artist so that intrigued her to buy the album and listen to it. She also is going to share it with the teenagers in her own house…. Praise God because that is AWESOME!

Who is TobyMac and how is he at the top of iTunes?

By Anne Kiplinger, Friday at 5:07 pm

I was slightly perplexed this week to see TobyMac in the #1 spot on iTunes. Why? Because I have never heard of him, and that’s reason enough to tick me off. It irks me that apparently hoards of people knew this person or group or whatever and I did not. I thought TobyMac might be a country singer, but then I realized I was getting him mixed up with Toby Keith, one of hundreds of indistinguishable (to me) country singers. I quickly consulted Wikipedia, my trustiest fact source, and got my answer.

Who is TobyMac? A Christian rapper.

**What comes next are materials data, not part of the text:**
********
Compound: Na2MgB12H16O28
Source: the Materials Project
Functional: GGA-PBE
Structure: relaxed

Properties
Spin magnetization ... 0.0 μB/cell
Symmetry ... P2_1/c, No. 14
E_tot ... -700.245 eV per cell

Lattice parameters (Å, degrees): 11.4324 9.7388 10.1618 86.63 90.00 90.00
Positions (direct):
O 0.0122 0.5354 0.2185
O 0.4778 0.8597 0.5850
H 0.7761 0.6325 0.1867
O 0.5054 0.2924 0.0802
B 0.1779 0.2090 0.1805
H 0.8693 0.3469 0.3245
B 0.1971 0.9775 0.5265
O 0.2873 0.8749 0.4673
O 0.7551 0.6746 0.8403
H 0.7951 0.6140 0.9119
B 0.6814 0.5887 0.2101
B 0.3186 0.4113 0.7899
H 0.3693 0.1531 0.6755
H 0.3623 0.9242 0.4801
O 0.7430 0.3846 0.4879
O 0.2551 0.8254 0.1597
H 0.1006 0.9561 0.4844
O 0.7449 0.1746 0.8403
H 0.9571 0.7658 0.6907
B 0.9857 0.6488 0.2755
O 0.6073 0.8603 0.1316
B 0.3221 0.7090 0.1805
H 0.2049 0.3860 0.0881
H 0.5838 0.2800 0.0378
O 0.0860 0.7091 0.7357
B 0.4769 0.0255 0.9059
O 0.5860 0.7909 0.2643
B 0.4857 0.8512 0.7245
B 0.9769 0.4745 0.0941
O 0.4477 0.7226 0.5387
H 0.4571 0.7342 0.3093
O 0.8603 0.8859 0.8937
O 0.2570 0.6154 0.5121
O 0.0325 0.2172 0.7789
O 0.9946 0.7924 0.0802
H 0.8994 0.0439 0.5156
H 0.2951 0.8860 0.0881
H 0.0838 0.2200 0.9622
O 0.5940 0.5371 0.1556
H 0.6006 0.5439 0.5156
H 0.5429 0.2658 0.6907
B 0.3029 0.4775 0.5265
B 0.1814 0.9113 0.7899
H 0.2761 0.8675 0.8133
H 0.7049 0.1140 0.9119
Na 0.1028 0.9438 0.2722
O 0.9675 0.7828 0.2211
O 0.4178 0.9444 0.0130
H 0.8623 0.5758 0.5199
O 0.6397 0.3859 0.8937
B 0.6662 0.2764 0.5330
B 0.8338 0.7764 0.5330
O 0.1074 0.6397 0.8684
O 0.1265 0.1988 0.3244
O 0.4675 0.7172 0.7789
O 0.9060 0.0371 0.1556
O 0.5325 0.2828 0.2211
O 0.6265 0.3012 0.6756
B 0.1662 0.2236 0.4670
O 0.5222 0.1403 0.4150
O 0.0822 0.4444 0.0130
O 0.0054 0.2076 0.9198
O 0.8735 0.8012 0.6756
O 0.3735 0.6988 0.3244
B 0.5143 0.1488 0.2755
O 0.9140 0.2909 0.2643
O 0.5122 0.9646 0.7815
O 0.4060 0.4629 0.8444
H 0.3994 0.4561 0.4844
B 0.8221 0.7910 0.8195
H 0.6307 0.8469 0.3245
O 0.0523 0.2226 0.5387
B 0.0143 0.3512 0.7245
H 0.2239 0.3675 0.8133
Na 0.8972 0.0562 0.7278
O 0.0940 0.9629 0.8444
O 0.7873 0.6251 0.5327
O 0.3603 0.6141 0.1063
O 0.7127 0.1251 0.5327
O 0.2449 0.3254 0.1597
B 0.5231 0.9745 0.0941
O 0.8926 0.3603 0.1316
H 0.4162 0.7200 0.9622
O 0.9778 0.6403 0.4150
B 0.3338 0.7236 0.4670
H 0.3104 0.4340 0.6490
O 0.5523 0.2774 0.4613
O 0.0222 0.3597 0.5850
Mg 0.5000 0.5000 0.0000
H 0.1377 0.4242 0.4801
O 0.2430 0.1154 0.5121
O 0.7570 0.8846 0.4879
O 0.4878 0.0354 0.2185
H 0.7239 0.1325 0.1867
B 0.6971 0.5225 0.4735
H 0.9162 0.7800 0.0378
H 0.6377 0.0758 0.5199
O 0.2127 0.3749 0.4673
O 0.9178 0.5556 0.9870
Na 0.6028 0.5562 0.7278
H 0.8104 0.0660 0.3510
O 0.4946 0.7076 0.9198
B 0.8186 0.0887 0.2101
H 0.0429 0.2342 0.3093
Mg 0.0000 0.0000 0.0000
O 0.3926 0.1397 0.8684
Na 0.3972 0.4438 0.2722
B 0.6779 0.2910 0.8195
B 0.8029 0.0225 0.4735
H 0.6896 0.5660 0.3510
H 0.1307 0.6531 0.6755
B 0.0231 0.5255 0.9059
O 0.1397 0.1141 0.1063
O 0.5822 0.0556 0.9870
O 0.9477 0.7774 0.4613
O 0.4140 0.2091 0.7357
H 0.1896 0.9340 0.6490
********

I probably shouldn’t follow that revelation up with WTF, but I absolutely did not know that Christian rappers even existed! I was intrigued. While not overly religious myself, in the past I’ve been annoyed at how graphic and profane most rap is because I like the genre but question its family friendly quotient. I even wrote another blog post about my conundrum, but I never stumbled across “Christian rap” during my research. I decided to give TobyMac’s new album (“Eye On It”) a whirl.

The sound of the songs on “Eye On It” at various points reminded me of Bruno Mars, Owl City and One Direction. They are catchy and upbeat, not at all “churchy.” I think calling TobyMac a rapper might be a stretch, but I’d be okay with classifying him as hip hop. He’s definitely got that pop sound.

I was also curious about whether his songs would be too religious for my liking. More than being “Christian,” however, I would call TobyMac “wholesome” with a light infusion of God. For instance, in the song “Made for Me” he sings about his love-at-first-sight experience with his wife, and “Family” discusses the challenges of staying close on a daily basis. There’s even a song called “Mac Daddy” about his son’s quest for a beloved Apple laptop. Don’t get me wrong, God does pop up here and there. “Me Without You” is about what TobyMac’s life might be like without God, and “Forgiveness” is about confessing your sins.

It’s all done in a way that is very mainstream and (according to iTunes) appealing to a wide audience based on the performance of “Eye On It” this week. I’m curious whether all those listeners are existing fans? Or is this a welcome, refreshing change from Lil Wayne & Co.? I don’t know, but I’m fairly pleased with the discovery and am curious to test TobyMac on the teenage yutes under my roof.

TobyMac says that he sees music as a powerful tool and a way of reaching people. According to his website, “Toby has worked hard to inspire his audience with words of conviction, hope, empowerment and the redemption found in his faith in God.” Hard to argue with that, right? Use a medium that is appealing to people and try to spread a good word.

I was shocked, therefore, to Google info about TobyMac and stumble across a website that proclaimed that TobyMac is “singing the Devil in Jesus’ name” and a “wolf in sheep’s clothing.” The author’s argument is that TobyMac is a conformist (he’s a pretty hip looking dude) and the fact that he looks like a punk aligns him with actual punks.

Huh. I guess I was wrong, although I find it curious that there is a certain way someone who promotes God should look. Will you hear TobyMac playing at your Sunday service of choice? Probably not; he’s not pretending to sing church choir music. But I’m not going to quarrel with someone who promotes a positive message and may or may not dye his hair from time to time. There are families out there who successfully insulate their kids from society’s less savory side (Duggars), but for the rest of us TobyMac is a pretty good option.

Here is a short clip of TobyMac explaining the meaning of his first single, “Me Without You.” Enjoy!

Filed under: Album Reviews